Wanted >
Duplicate everything further below unchanged.

Material >
/*
The following is a DFT calculation (PBE+U) of a geometry-optimized NiSO4 structure.

Cell and atoms, written as POSCAR:
```
NiSO4
1.0
-2.464 -3.864 2.455
1.073 -4.703 -6.326
5.609 -2.019 2.452
Ni S O
4 4 16
direct
0.500 0.500 0.500
0.500 0.500 0.000
0.000 0.000 0.500
0.000 0.000 0.000
0.500 0.849 0.250
0.000 0.349 0.250
0.500 0.151 0.750
0.000 0.651 0.750
0.265 0.038 0.750
0.765 0.538 0.750
0.735 0.962 0.250
0.235 0.462 0.250
0.265 0.962 0.250
0.765 0.462 0.250
0.735 0.038 0.750
0.235 0.538 0.750
0.500 0.250 0.941
0.000 0.750 0.941
0.500 0.750 0.441
0.000 0.250 0.441
0.500 0.750 0.059
0.000 0.250 0.059
0.500 0.250 0.559
0.000 0.750 0.559
```

Output
Formation enthalpy at 0 K   -1712 meV per atom
Final energy   -34.7 eV per formula unit

~~~~~

Entry 1:
# MgTiCu4S4

A relaxed structure of MgTiCu4S4 (PBE-GGA, Materials Project).

Summary:
SG   I-4
Calculated density   4.38 g cm⁻³
Calculated formation energy   -0.604 eV per atom
Raw total energy   -4.647 eV/atom

Cell lengths 5.577, 5.577, 6.797 Å; angles 114.22, 114.22, 90.00 degrees
Positions (direct):
Mg 0.750 0.250 0.500
Ti 0.000 0.000 0.000
Cu 0.499 0.999 0.999
Cu 0.001 0.501 0.001
Cu 0.256 0.256 0.511
Cu 0.744 0.744 0.489
S 0.882 0.869 0.251
S 0.618 0.118 0.749
S 0.131 0.631 0.749
S 0.369 0.382 0.251

---

Entry 2:
# Mg14CuSb

A relaxed structure of Mg14CuSb (PBE-GGA, Materials Project).

Summary:
SG   P-6m2
Calculated density   2.48 g cm⁻³
Calculated formation energy   -0.027 eV per atom
Raw total energy   -1.929 eV/atom

Cell lengths 6.277, 6.277, 10.305 Å; angles 90.00, 90.00, 120.00 degrees
Positions (direct):
Mg 0.164 0.832 0.125
Mg 0.167 0.833 0.625
Mg 0.668 0.336 0.125
Mg 0.667 0.333 0.625
Mg 0.668 0.832 0.125
Mg 0.667 0.833 0.625
Mg 0.331 0.169 0.364
Mg 0.331 0.169 0.886
Mg 0.331 0.662 0.364
Mg 0.331 0.662 0.886
Mg 0.838 0.169 0.364
Mg 0.838 0.169 0.886
Mg 0.833 0.667 0.375
Mg 0.833 0.667 0.875
Cu 0.167 0.333 0.125
Sb 0.167 0.333 0.625

---

Entry 3:
# Mg14CuSb

A relaxed structure of Mg14CuSb (PBE-GGA, Materials Project).

Summary:
SG   Amm2
Calculated density   2.49 g cm⁻³
Calculated formation energy   -0.020 eV per atom
Raw total energy   -1.922 eV/atom

Cell lengths 6.276, 6.275, 10.295 Å; angles 90.00, 90.00, 120.00 degrees
Positions (direct):
Mg 0.168 0.334 0.625
Mg 0.167 0.834 0.625
Mg 0.668 0.334 0.125
Mg 0.665 0.333 0.625
Mg 0.668 0.834 0.125
Mg 0.665 0.832 0.625
Mg 0.332 0.171 0.371
Mg 0.332 0.171 0.879
Mg 0.332 0.660 0.371
Mg 0.332 0.660 0.879
Mg 0.838 0.169 0.371
Mg 0.838 0.169 0.879
Mg 0.831 0.666 0.378
Mg 0.831 0.666 0.872
Cu 0.166 0.333 0.125
Sb 0.165 0.832 0.125

---

Entry 4:
# Mg6CuSb

A relaxed structure of Mg6CuSb (PBE-GGA, Materials Project).

Summary:
Calculated density   3.26 g cm⁻³
Calculated formation energy   -0.038 eV per atom
Raw total energy   -2.243 eV/atom

Cell lengths 4.886, 6.494, 10.619 Å; angles 90.00, 90.00, 90.00 degrees
Positions (direct):
Mg 0.500 0.748 0.086
Mg 0.500 0.252 0.086
Mg 0.000 0.770 0.913
Mg 0.000 0.230 0.913
Mg 0.000 0.500 0.170
Mg 0.000 0.500 0.662
Mg 0.500 0.248 0.586
Mg 0.500 0.752 0.586
Mg 0.000 0.270 0.413
Mg 0.000 0.730 0.413
Mg 0.000 0.000 0.670
Mg 0.000 0.000 0.162
Cu 0.500 0.500 0.333
Cu 0.500 0.000 0.833
Sb 0.500 0.500 0.836
Sb 0.500 0.000 0.336

---

Entry 5:
# Mg6CuSb

A relaxed structure of Mg6CuSb (PBE-GGA, Materials Project).

Summary:
Calculated density   3.19 g cm⁻³
Calculated formation energy   -0.053 eV per atom
Raw total energy   -2.258 eV/atom

Cell lengths 4.974, 6.149, 11.282 Å; angles 90.00, 90.00, 90.00 degrees
Positions (direct):
Mg 0.000 0.246 0.077
Mg 0.000 0.754 0.077
Mg 0.000 0.000 0.329
Mg 0.500 0.739 0.406
Mg 0.500 0.261 0.406
Mg 0.500 0.000 0.166
Mg 0.000 0.746 0.577
Mg 0.000 0.254 0.577
Mg 0.000 0.500 0.829
Mg 0.500 0.239 0.906
Mg 0.500 0.761 0.906
Mg 0.500 0.500 0.666
Cu 0.000 0.500 0.380
Cu 0.000 0.000 0.880
Sb 0.500 0.500 0.159
Sb 0.500 0.000 0.659

---

Entry 6:
# MgScCu3Se4

A relaxed structure of MgScCu3Se4 (PBE-GGA, Materials Project).

Summary:
SG   P-43m
*/

Response >
The following is a DFT calculation (PBE+U) of a geometry-optimized NiSO4 structure.

Cell and atoms, written as POSCAR:
```
NiSO4
1.0
-2.464 -3.864 2.455
1.073 -4.703 -6.326
5.609 -2.019 2.452
Ni S O
4 4 16
direct
0.500 0.500 0.500
0.500 0.500 0.000
0.000 0.000 0.500
0.000 0.000 0.000
0.500 0.849 0.250
0.000 0.349 0.250
0.500 0.151 0.750
0.000 0.651 0.750
0.265 0.038 0.750
0.765 0.538 0.750
0.735 0.962 0.250
0.235 0.462 0.250
0.265 0.962 0.250
0.765 0.462 0.250
0.735 0.038 0.750
0.235 0.538 0.750
0.500 0.250 0.941
0.000 0.750 0.941
0.500 0.750 0.441
0.000 0.250 0.441
0.500 0.750 0.059
0.000 0.250 0.059
0.500 0.250 0.559
0.000 0.750 0.559
```

Output
Formation enthalpy at 0 K   -1712 meV per atom
Final energy   -34.7 eV per formula unit

~~~~~

Entry 1:
# MgTiCu4S4

A relaxed structure of MgTiCu4S4 (PBE-GGA, Materials Project).

Summary:
SG   I-4
Calculated density   4.38 g cm⁻³
Calculated formation energy   -0.604 eV per atom
Raw total energy   -4.647 eV/atom

Cell lengths 5.577, 5.577, 6.797 Å; angles 114.22, 114.22, 90.00 degrees
Positions (direct):
Mg 0.750 0.250 0.500
Ti 0.000 0.000 0.000
Cu 0.499 0.999 0.999
Cu 0.001 0.501 0.001
Cu 0.256 0.256 0.511
Cu 0.744 0.744 0.489
S 0.882 0.869 0.251
S 0.618 0.118 0.749
S 0.131 0.631 0.749
S 0.369 0.382 0.251

---

Entry 2:
# Mg14CuSb

A relaxed structure of Mg14CuSb (PBE-GGA, Materials Project).

Summary:
SG   P-6m2
Calculated density   2.48 g cm⁻³
Calculated formation energy   -0.027 eV per atom
Raw total energy   -1.929 eV/atom

Cell lengths 6.277, 6.277, 10.305 Å; angles 90.00, 90.00, 120.00 degrees
Positions (direct):
Mg 0.164 0.832 0.125
Mg 0.167 0.833 0.625
Mg 0.668 0.336 0.125
Mg 0.667 0.333 0.625
Mg 0.668 0.832 0.125
Mg 0.667 0.833 0.625
Mg 0.331 0.169 0.364
Mg 0.331 0.169 0.886
Mg 0.331 0.662 0.364
Mg 0.331 0.662 0.886
Mg 0.838 0.169 0.364
Mg 0.838 0.169 0.886
Mg 0.833 0.667 0.375
Mg 0.833 0.667 0.875
Cu 0.167 0.333 0.125
Sb 0.167 0.333 0.625

---

Entry 3:
# Mg14CuSb

A relaxed structure of Mg14CuSb (PBE-GGA, Materials Project).

Summary:
SG   Amm2
Calculated density   2.49 g cm⁻³
Calculated formation energy   -0.020 eV per atom
Raw total energy   -1.922 eV/atom

Cell lengths 6.276, 6.275, 10.295 Å; angles 90.00, 90.00, 120.00 degrees
Positions (direct):
Mg 0.168 0.334 0.625
Mg 0.167 0.834 0.625
Mg 0.668 0.334 0.125
Mg 0.665 0.333 0.625
Mg 0.668 0.834 0.125
Mg 0.665 0.832 0.625
Mg 0.332 0.171 0.371
Mg 0.332 0.171 0.879
Mg 0.332 0.660 0.371
Mg 0.332 0.660 0.879
Mg 0.838 0.169 0.371
Mg 0.838 0.169 0.879
Mg 0.831 0.666 0.378
Mg 0.831 0.666 0.872
Cu 0.166 0.333 0.125
Sb 0.165 0.832 0.125

---

Entry 4:
# Mg6CuSb

A relaxed structure of Mg6CuSb (PBE-GGA, Materials Project).

Summary:
Calculated density   3.26 g cm⁻³
Calculated formation energy   -0.038 eV per atom
Raw total energy   -2.243 eV/atom

Cell lengths 4.886, 6.494, 10.619 Å; angles 90.00, 90.00, 90.00 degrees
Positions (direct):
Mg 0.500 0.748 0.086
Mg 0.500 0.252 0.086
Mg 0.000 0.770 0.913
Mg 0.000 0.230 0.913
Mg 0.000 0.500 0.170
Mg 0.000 0.500 0.662
Mg 0.500 0.248 0.586
Mg 0.500 0.752 0.586
Mg 0.000 0.270 0.413
Mg 0.000 0.730 0.413
Mg 0.000 0.000 0.670
Mg 0.000 0.000 0.162
Cu 0.500 0.500 0.333
Cu 0.500 0.000 0.833
Sb 0.500 0.500 0.836
Sb 0.500 0.000 0.336

---

Entry 5:
# Mg6CuSb

A relaxed structure of Mg6CuSb (PBE-GGA, Materials Project).

Summary:
Calculated density   3.19 g cm⁻³
Calculated formation energy   -0.053 eV per atom
Raw total energy   -2.258 eV/atom

Cell lengths 4.974, 6.149, 11.282 Å; angles 90.00, 90.00, 90.00 degrees
Positions (direct):
Mg 0.000 0.246 0.077
Mg 0.000 0.754 0.077
Mg 0.000 0.000 0.329
Mg 0.500 0.739 0.406
Mg 0.500 0.261 0.406
Mg 0.500 0.000 0.166
Mg 0.000 0.746 0.577
Mg 0.000 0.254 0.577
Mg 0.000 0.500 0.829
Mg 0.500 0.239 0.906
Mg 0.500 0.761 0.906
Mg 0.500 0.500 0.666
Cu 0.000 0.500 0.380
Cu 0.000 0.000 0.880
Sb 0.500 0.500 0.159
Sb 0.500 0.000 0.659

---

Entry 6:
# MgScCu3Se4

A relaxed structure of MgScCu3Se4 (PBE-GGA, Materials Project).

Summary:
SG   P-43m